The Nigerian National Petroleum Corporation (NNPC) owns a fleet of aircraft which it intends to dispose of. These are:
- 3 nos. Dauphin Helicopters (5N-AQL. 5N-AQK, 5N-BAF);
- 3 nos. EC135 Helicopters (5N-BOE, 5N-BOF, 5N-BOG);
- 1 no. Aircraft (5N-NOC).
Tender Opportunity for the Purchase of NNPC Owned Six Nos. Helicopters and One Airport at the Nigerian National Petroleum Corporation (NNPC)
Reason for the Sale
As part of its Transformation initiative and revision of operating philosophy, NNPC has adopted a new business strategy with respect to ownership, operation and maintenance of its fleet of aircraft. Based on the new strategy, NNPC hereby invites reputable individuals and companies to submit commercial offers for the purchase of these aircraft.
Aircraft Basic in Formation
DoM: 1982
Type: Helicopter
Model: AS365N
Registration: AQK
Seats Installed (Optional): 10(12)
Serial No: 6108
Age: 32
AFH/EFH: 9012:30
Landings: 23,673
DoM: 1983
Type: Helicopter
Model: AS365N
Registration: AQL
Seats Installed (Optional): 10(12)
Serial No: 6109
Age: 31
AFH/EFH: 13225:03
Landings: 33,354
DoM: 1991
Type: Helicopter
Model: AS365N2
Registration: BAF
Seats Installed (Optional): 10(11)
Serial No: 6430
Age: 23
AFH/EFH: 7601:56
Landings: 19,565
DoM: 2008
Type: Helicopter
Model: EC135T2+
Registration: BOE
Seats Installed (Optional): 5
Serial No: 0759
Age: 6
AFH/EFH: 425:33
Landings: 793
DoM: 2011
Type: Helicopter
Model: EC135T2+
Registration: BOF
Seats Installed (Optional): 5
Serial No: 0957
Age: 3
AFH/EFH: 331: 43
Landings: 349
DoM: 2011
Type: Helicopter
Model: EC135T2+
Registration: BOG
Seats Installed (Optional): 5
Serial No: 0969
Age: 3
AFH/EFH: 118: 46
Landings: 402
(Records of crystals, kept here for reference)
/*
Below is a relaxed Ac3ZnRu crystal, with properties calculated at the PBE-GGA level.

Unit cell a=7.184 b=10.489 c=9.923 alpha=114.21 beta=90.00 gamma=90.00
Positions (direct):
Ru  0.751  0.616  0.088
Ru  0.249  0.384  0.912
Ru  0.251  0.884  0.912
Ru  0.749  0.116  0.088
Ac  0.430  0.137  0.905
Ac  0.070  0.637  0.905
Ac  0.408  0.734  0.626
Ac  0.413  0.555  0.208
Ac  0.592  0.266  0.374
Ac  0.908  0.766  0.374
Ac  0.587  0.445  0.792
Ac  0.087  0.055  0.208
Ac  0.570  0.863  0.095
Ac  0.092  0.234  0.626
Ac  0.930  0.363  0.095
Ac  0.913  0.945  0.792
Zn  0.155  0.437  0.436
Zn  0.345  0.937  0.436
Zn  0.845  0.563  0.564
Zn  0.655  0.063  0.564

Results
Crystal system: monoclinic
Calculated total energy (eV per formula unit): -23.62
Space-group type: P2_1/c, No. 14
Formation energy (meV per atom): -149
Total magnetization (μB/cell): 0.00


Below is a relaxed KNCl crystal, with properties calculated at the PBE-GGA level.

Unit cell a=5.621 b=5.605 c=6.300 alpha=90.03 beta=90.04 gamma=59.98
Positions (direct):
Cl  0.333  0.333  0.749
Cl  0.667  0.667  0.251
K  0.667  0.666  0.743
K  0.333  0.334  0.257
N  0.998  0.001  0.912
N  0.002  0.999  0.088

Results
*/
(The records of crystals stop here)
DoM: 1988
Type: Aircraft
Model: HS125
Registration: NPC
Seats Installed (Optional): 8
Serial No: 258109
Age: 26
AFH/EFH: 7,505
Landings: 7,822
Aircraft Detailed Technical Information
Interested bidders are expected to collect an information package containing technical details of each aircraft from the address stated below, upon presentation of a bank draft valued
Two Hundred and Fifty Thousand Naira only (N250,000.00) written in favour of The Nigerian National Petroleum Corporation.
Collection of Information Package
Information package is to be collected from:
The Secretary to GEC HQ Tender Board
Block D, 1 Floor, Room 107, NNPC Towers
Herbert Macaulay Way, Central Business District
Abuja, Nigeria.
Tel: +234946084908
Period of Collection of Information Package
Information package will be available for collection upon payment, anytime from the date of this advert until the bid closing date, between
10:00hrs to 16:00hrs
Inspection of Aircraft
Bidders will be granted access to inspect the aircraft upon presentation of receipt and information package.
Conditions of Sale
Detailed information on conditions of the sale is included in the information package.
Closing Date
4th October, 2014.
Submissions are to be made by courier in sealed envelope marked on the top right hand corner: “Bid for the Purchase of ................. (State aircraft type)” and submitted on or before
12:00.noon on the closing date and addressed to:
The Secretary to GEC HQ Tender Board
Block D, 1 Floor, Room 107, NNPC Towers
Herbert Macaulay Way, Central Business District
Abuja, Nigeria
Tel: +234946084908
Email :
- All costs incurred in inspection, preparing and submitting the purchase tender shall be at the tenderer’s account
- The final decision on the purchase of the aircraft is reserved by NNPC.